~~~
{"formula": "Li2ZnNi3O6", "functional": "PBE+U", "state": "relaxed", "vol_a3_per_atom": 9.10, "dft_energy_ev_per_atom": -4.78, "spacegroup": "No. 12", "cell": [[6.440, -1.471, 0.000], [6.440, 1.471, 0.000], [-1.394, 0.000, 5.761]], "species": ["Li", "Li", "Zn", "Ni", "Ni", "Ni", "O", "O", "O", "O", "O", "O"], "frac_coords": [[0.170, 0.170, 0.342], [0.830, 0.830, 0.658], [0.500, 0.500, 0.000], [0.168, 0.168, 0.829], [0.500, 0.500, 0.500], [0.832, 0.832, 0.171], [0.001, 0.001, 0.745], [0.333, 0.333, 0.937], [0.338, 0.338, 0.403], [0.662, 0.662, 0.597], [0.667, 0.667, 0.063], [0.999, 0.999, 0.255]]}
~~~

The reader should say how many lines of the calculation results further above hold the word "spacegroup", as a bare number.

1